Request
Next, start at the top of the entries below and print each line, ending with the one that has "0.964 0.791".

Entries
Entry 1:
Computed, not measured: a relaxed structure of Li2FeNi2O6 at the GGA+U level of DFT.

Unit cell a=4.921 b=4.921 c=9.924 alpha=90.00 beta=90.00 gamma=117.45
Atoms (fractional coordinates):
O 0.691 0.033 0.108
O 0.674 0.674 0.904
O 0.033 0.691 0.108
O 0.309 0.967 0.892
O 0.191 0.533 0.392
O 0.967 0.309 0.892
O 0.326 0.326 0.096
O 0.826 0.826 0.404
O 0.174 0.174 0.596
O 0.809 0.467 0.608
O 0.533 0.191 0.392
O 0.467 0.809 0.608
Li 0.367 0.867 0.250
Li 0.133 0.633 0.750
Li 0.633 0.133 0.750
Li 0.867 0.367 0.250
Ni 0.835 0.165 0.500
Ni 0.165 0.835 0.500
Ni 0.665 0.335 0.000
Ni 0.335 0.665 0.000
Fe 0.000 0.000 0.000
Fe 0.500 0.500 0.500

Output
Theoretical density in Mg/m³: 4.4
Distance to the lowest polymorph of the same formula in meV per atom: 45
Formation energy in eV/atom: -1.393
Crystal system: orthorhombic
SG: No. 64

=====

Entry 2:
Computed, not measured: a relaxed structure of Li3Fe2Ni2O8 at the GGA+U level of DFT.

Unit cell a=5.792 b=5.792 c=5.679 alpha=61.06 beta=61.06 gamma=59.60
Atoms (fractional coordinates):
Li 0.000 0.500 0.000
Li 0.500 0.000 0.000
Li 0.500 0.500 0.500
O 0.225 0.783 0.741
O 0.217 0.775 0.259
O 0.768 0.768 0.246
O 0.783 0.225 0.741
O 0.775 0.217 0.259
O 0.232 0.232 0.754
O 0.227 0.227 0.294
O 0.773 0.773 0.706
Fe 0.000 0.000 0.500
Fe 0.000 0.000 0.000
Ni 0.000 0.500 0.500
Ni 0.500 0.000 0.500

Output
Theoretical density in Mg/m³: 4.6
Distance to the lowest polymorph of the same formula in meV per atom: 55
Formation energy in eV/atom: -1.518
Crystal system: monoclinic
SG: No. 12

=====

Entry 3:
Computed, not measured: a relaxed structure of Li2Fe3NiO8 at the GGA+U level of DFT.

Unit cell a=8.388 b=8.345 c=8.402 alpha=90.10 beta=90.15 gamma=90.35
Atoms (fractional coordinates):
Ni 0.999 0.002 0.001
Ni 0.500 0.000 0.502
Ni 0.497 0.502 0.002
Ni 0.000 0.500 0.500
O 0.117 0.609 0.883
O 0.383 0.863 0.369
O 0.356 0.375 0.859
O 0.874 0.890 0.392
O 0.864 0.365 0.382
O 0.858 0.865 0.861
O 0.627 0.110 0.893
O 0.642 0.637 0.873
O 0.860 0.124 0.143
O 0.138 0.858 0.123
O 0.396 0.872 0.888
O 0.610 0.375 0.609
O 0.121 0.148 0.862
O 0.135 0.365 0.635
O 0.389 0.107 0.127
O 0.376 0.612 0.606
O 0.897 0.388 0.874
O 0.386 0.387 0.386
O 0.634 0.136 0.368
O 0.613 0.888 0.114
O 0.897 0.626 0.111
O 0.134 0.615 0.367
O 0.885 0.115 0.610
O 0.110 0.895 0.629
O 0.625 0.357 0.140
O 0.364 0.134 0.616
O 0.105 0.128 0.388
O 0.634 0.882 0.635
O 0.126 0.390 0.104
O 0.354 0.640 0.149
O 0.883 0.635 0.633
O 0.612 0.607 0.372
Fe 0.875 0.873 0.618
Fe 0.377 0.625 0.385
Fe 0.622 0.126 0.119
Fe 0.384 0.376 0.626
Fe 0.126 0.120 0.622
Fe 0.373 0.882 0.125
Fe 0.118 0.624 0.128
Fe 0.874 0.617 0.876
Fe 0.881 0.123 0.374
Fe 0.124 0.376 0.880
Fe 0.626 0.382 0.377
Fe 0.618 0.876 0.874
Li 0.876 0.376 0.124
Li 0.250 0.251 0.248
Li 0.375 0.124 0.879
Li 0.751 0.751 0.247
Li 0.122 0.878 0.377
Li 0.624 0.622 0.623
Li 0.752 0.249 0.747
Li 0.252 0.751 0.747

Output
Theoretical density in Mg/m³: 4.2
Distance to the lowest polymorph of the same formula in meV per atom: 74
Formation energy in eV/atom: -1.494
Crystal system: triclinic
SG: No. 1

=====

Entry 4:
Computed, not measured: a relaxed structure of Li5Fe2Ni5O12 at the GGA+U level of DFT.

Unit cell a=5.099 b=5.099 c=9.787 alpha=84.86 beta=84.86 gamma=120.59
Atoms (fractional coordinates):
Li 0.674 0.829 0.246
Li 0.324 0.176 0.249
Li 0.171 0.326 0.754
Li 0.824 0.676 0.751
Li 0.082 0.918 0.000
O 0.147 0.610 0.885
O 0.692 0.527 0.117
O 0.758 0.940 0.885
O 0.627 0.122 0.378
O 0.060 0.242 0.115
O 0.209 0.036 0.623
O 0.558 0.739 0.613
O 0.964 0.791 0.377
O 0.261 0.442 0.387
O 0.473 0.308 0.883
O 0.390 0.853 0.115
O 0.878 0.373 0.622
Ni 0.583 0.417 0.500
Ni 0.999 0.506 0.246
Ni 0.494 0.001 0.754
Ni 0.914 0.086 0.500
Ni 0.420 0.580 0.000
Fe 0.245 0.755 0.500
Fe 0.749 0.251 0.000

Output
Theoretical density in Mg/m³: 4.9
Formation energy in eV/atom: -1.584
Crystal system: monoclinic
SG: No. 5

=====

Entry 5:
Computed, not measured: a relaxed structure of Li2Fe3NiO8 at the GGA+U level of DFT.

Here it is
Entry 1:
Computed, not measured: a relaxed structure of Li2FeNi2O6 at the GGA+U level of DFT.

Unit cell a=4.921 b=4.921 c=9.924 alpha=90.00 beta=90.00 gamma=117.45
Atoms (fractional coordinates):
O 0.691 0.033 0.108
O 0.674 0.674 0.904
O 0.033 0.691 0.108
O 0.309 0.967 0.892
O 0.191 0.533 0.392
O 0.967 0.309 0.892
O 0.326 0.326 0.096
O 0.826 0.826 0.404
O 0.174 0.174 0.596
O 0.809 0.467 0.608
O 0.533 0.191 0.392
O 0.467 0.809 0.608
Li 0.367 0.867 0.250
Li 0.133 0.633 0.750
Li 0.633 0.133 0.750
Li 0.867 0.367 0.250
Ni 0.835 0.165 0.500
Ni 0.165 0.835 0.500
Ni 0.665 0.335 0.000
Ni 0.335 0.665 0.000
Fe 0.000 0.000 0.000
Fe 0.500 0.500 0.500

Output
Theoretical density in Mg/m³: 4.4
Distance to the lowest polymorph of the same formula in meV per atom: 45
Formation energy in eV/atom: -1.393
Crystal system: orthorhombic
SG: No. 64

=====

Entry 2:
Computed, not measured: a relaxed structure of Li3Fe2Ni2O8 at the GGA+U level of DFT.

Unit cell a=5.792 b=5.792 c=5.679 alpha=61.06 beta=61.06 gamma=59.60
Atoms (fractional coordinates):
Li 0.000 0.500 0.000
Li 0.500 0.000 0.000
Li 0.500 0.500 0.500
O 0.225 0.783 0.741
O 0.217 0.775 0.259
O 0.768 0.768 0.246
O 0.783 0.225 0.741
O 0.775 0.217 0.259
O 0.232 0.232 0.754
O 0.227 0.227 0.294
O 0.773 0.773 0.706
Fe 0.000 0.000 0.500
Fe 0.000 0.000 0.000
Ni 0.000 0.500 0.500
Ni 0.500 0.000 0.500

Output
Theoretical density in Mg/m³: 4.6
Distance to the lowest polymorph of the same formula in meV per atom: 55
Formation energy in eV/atom: -1.518
Crystal system: monoclinic
SG: No. 12

=====

Entry 3:
Computed, not measured: a relaxed structure of Li2Fe3NiO8 at the GGA+U level of DFT.

Unit cell a=8.388 b=8.345 c=8.402 alpha=90.10 beta=90.15 gamma=90.35
Atoms (fractional coordinates):
Ni 0.999 0.002 0.001
Ni 0.500 0.000 0.502
Ni 0.497 0.502 0.002
Ni 0.000 0.500 0.500
O 0.117 0.609 0.883
O 0.383 0.863 0.369
O 0.356 0.375 0.859
O 0.874 0.890 0.392
O 0.864 0.365 0.382
O 0.858 0.865 0.861
O 0.627 0.110 0.893
O 0.642 0.637 0.873
O 0.860 0.124 0.143
O 0.138 0.858 0.123
O 0.396 0.872 0.888
O 0.610 0.375 0.609
O 0.121 0.148 0.862
O 0.135 0.365 0.635
O 0.389 0.107 0.127
O 0.376 0.612 0.606
O 0.897 0.388 0.874
O 0.386 0.387 0.386
O 0.634 0.136 0.368
O 0.613 0.888 0.114
O 0.897 0.626 0.111
O 0.134 0.615 0.367
O 0.885 0.115 0.610
O 0.110 0.895 0.629
O 0.625 0.357 0.140
O 0.364 0.134 0.616
O 0.105 0.128 0.388
O 0.634 0.882 0.635
O 0.126 0.390 0.104
O 0.354 0.640 0.149
O 0.883 0.635 0.633
O 0.612 0.607 0.372
Fe 0.875 0.873 0.618
Fe 0.377 0.625 0.385
Fe 0.622 0.126 0.119
Fe 0.384 0.376 0.626
Fe 0.126 0.120 0.622
Fe 0.373 0.882 0.125
Fe 0.118 0.624 0.128
Fe 0.874 0.617 0.876
Fe 0.881 0.123 0.374
Fe 0.124 0.376 0.880
Fe 0.626 0.382 0.377
Fe 0.618 0.876 0.874
Li 0.876 0.376 0.124
Li 0.250 0.251 0.248
Li 0.375 0.124 0.879
Li 0.751 0.751 0.247
Li 0.122 0.878 0.377
Li 0.624 0.622 0.623
Li 0.752 0.249 0.747
Li 0.252 0.751 0.747

Output
Theoretical density in Mg/m³: 4.2
Distance to the lowest polymorph of the same formula in meV per atom: 74
Formation energy in eV/atom: -1.494
Crystal system: triclinic
SG: No. 1

=====

Entry 4:
Computed, not measured: a relaxed structure of Li5Fe2Ni5O12 at the GGA+U level of DFT.

Unit cell a=5.099 b=5.099 c=9.787 alpha=84.86 beta=84.86 gamma=120.59
Atoms (fractional coordinates):
Li 0.674 0.829 0.246
Li 0.324 0.176 0.249
Li 0.171 0.326 0.754
Li 0.824 0.676 0.751
Li 0.082 0.918 0.000
O 0.147 0.610 0.885
O 0.692 0.527 0.117
O 0.758 0.940 0.885
O 0.627 0.122 0.378
O 0.060 0.242 0.115
O 0.209 0.036 0.623
O 0.558 0.739 0.613
O 0.964 0.791 0.377